Tuesday, July 31, 2012

Just a few photos

We just love our little house and cant wait to have our first BBQ Yum Yum! 

Saturday, July 28, 2012

What a weekend!

After a very long few days we are finally all moved out of our house and into the new one. We are so tired and feel like our feet and legs are going to fall off but we are so happy to be all unloaded. Now I will spend the next few weeks unpacking everything and putting it in its place. Thank you Carol for all your help! 
I will take some photos of course and be posting them soon! 

Some sad news today; Aaron's grandpa passed away and is now completely out of pain. Please keep his grandmother and family in prayers as they are now facing the mourning period. But as we are told in the bible we do not mourn like the unbeliever mourns because we have hope, HOPE that we will one day see him again in heaven when God brings our Savior Jesus Christ back! 

Terri I am so sorry for your loss and I cannot imagine the pain that you feel but I know that you have hope and that you will see him again! 

Friday, July 27, 2012

I have a huge feeling that this baby is going to come early and in the middle of settling in. Please Please baby, just wait until we get you to turn!
Thank you Lord for all of these wonderful blessings. We have the Uhaul almost fully packed and I think we will get to spend our first night in the house TONIGHT. I am gonna sleep great tonight!

Tuesday, July 24, 2012

No fun!

Packing is absolutely no fun! Packing an entire house in five days is absolutely no fun! Packing when you are 9 months pregnant is no fun! 

I could go on and on ;)
We welcome any helpers! 

Sunday, July 22, 2012

Almost time to move!

Finding a new place to live is exciting and exhausting. I wish we had more family here to help Aaron pack and move our things. Of course I play Mrs. Super Woman and I am sure I will be doing a lot as well... (if he lets me). We found a really cute home 3 bedroom 2 bath. Its not the biggest but it will work for us!!! We should know something by Monday. I am just happy its central air HAHA 

Thursday, July 19, 2012

What a ride!

== Unrelated to this text: materials data ==
[1]
# LuTiGe | the Materials Project | r²SCAN | optimized geometry
# - Calculated formation energy: -0.8019 eV/atom
# - V: 119.4 Å³ per cell
# - Spin magnetization: 0.49 μB per formula unit
data_LuTiGe
_chemical_formula_sum 'Lu2 Ti2 Ge2'
_space_group_name_H-M_alt 'P 4/n m m'
_space_group_IT_number 129
_cell_length_a 3.9850
_cell_length_b 3.9850
_cell_length_c 7.5182
_cell_angle_alpha 90.00
_cell_angle_beta 90.00
_cell_angle_gamma 90.00
loop_
_space_group_symop_operation_xyz
'x,y,z'
'-x,-y,-z'
'-y+1/2,x,z'
'y+1/2,-x,-z'
'-x+1/2,-y+1/2,z'
'x+1/2,y+1/2,-z'
'y,-x+1/2,z'
'-y,x+1/2,-z'
'x+1/2,-y,-z'
'-x+1/2,y,z'
'-y,-x,-z'
'y,x,z'
'-x,y+1/2,-z'
'x,-y+1/2,z'
'y+1/2,x+1/2,-z'
'-y+1/2,-x+1/2,z'
loop_
_atom_site_label
_atom_site_type_symbol
_atom_site_fract_x
_atom_site_fract_y
_atom_site_fract_z
Lu1 Lu 0.2500 0.2500 0.1531
Ti1 Ti 0.2500 0.7500 0.5000
Ge1 Ge 0.2500 0.2500 0.7518



[2]
# ErGa | the Materials Project | r²SCAN | optimized geometry
# - Calculated formation energy: -0.7314 eV/atom
# - V: 183.2 Å³ per cell
# - Spin magnetization: 0.00 μB per formula unit
data_ErGa
_chemical_formula_sum 'Er4 Ga4'
_space_group_name_H-M_alt 'C m c m'
_space_group_IT_number 63
_space_group_name_Hall '-C 2c 2'
_cell_length_a 4.2876
_cell_length_b 10.6686
_cell_length_c 4.0043
_cell_angle_alpha 90.00
_cell_angle_beta 90.00
_cell_angle_gamma 90.00
loop_
_atom_site_label
_atom_site_type_symbol
_atom_site_fract_x
_atom_site_fract_y
_atom_site_fract_z
Er1 Er 0.0000 0.1385 0.2500
Ga1 Ga 0.0000 0.4233 0.2500



[3]
# V4Zn5 | the Materials Project | r²SCAN | optimized geometry
# - Calculated formation energy: -0.0732 eV/atom
# - V: 245.3 Å³ per cell
# - Spin magnetization: 0.00 μB per formula unit
data_V4Zn5
_chemical_formula_sum 'V8 Zn10'
_space_group_name_H-M_alt 'I 4/m m m'
_space_group_IT_number 139
_space_group_name_Hall '-I 4 2'
_cell_length_a 8.7748
_cell_length_b 8.7748
_cell_length_c 3.1861
_cell_angle_alpha 90.00
_cell_angle_beta 90.00
_cell_angle_gamma 90.00
loop_
_atom_site_label
_atom_site_type_symbol
_atom_site_fract_x
_atom_site_fract_y
_atom_site_fract_z
V1 V 0.0000 0.3426 0.0000
Zn1 Zn 0.0000 0.0000 0.0000
Zn2 Zn 0.1696 0.1696 0.5000



[4]
# Te2O3F2 | the Materials Project | r²SCAN | optimized geometry
# - Calculated formation energy: -1.5342 eV/atom
# - V: 204.3 Å³ per cell
# - Spin magnetization: 0.00 μB per formula unit
data_Te2O3F2
_chemical_formula_sum 'Te4 O6 F4'
_space_group_name_H-M_alt 'P -1'
_space_group_IT_number 2
_space_group_name_Hall '-P 1'
_cell_length_a 5.1456
_cell_length_b 6.2506
_cell_length_c 6.8833
_cell_angle_alpha 98.53
_cell_angle_beta 110.23
_cell_angle_gamma 92.68
loop_
_atom_site_label
_atom_site_type_symbol
_atom_site_fract_x
_atom_site_fract_y
_atom_site_fract_z
Te1 Te 0.1137 0.4031 0.2122
Te2 Te 0.3676 0.0239 0.7576
O1 O 0.0208 0.8681 0.7090
O2 O 0.1405 0.6821 0.0656
O3 O 0.3862 0.1494 0.0684
F1 F 0.1700 0.4545 0.7080
F2 F 0.3976 0.8004 0.5272



[5]
# BaThO3 | the Materials Project | r²SCAN | optimized geometry
== The materials data stop here ==

WHAT an emotional roller coaster life can sometimes be. Job, family, new baby, new house. So many things to consider and to think about. The feeling of just being completely overwhelmed has finally set it. How does one really get ready for a life changing moment? And is it even fair to complain? Today I thought I was going to walk right out the door and quit work all together. The emotional wreck that one becomes when 9 months pregnant and your job just does not care! Let me tell you, its a mess. I can see the light at the end of this tunnel only because JESUS is that light. No matter how much I would like to break down and cry JESUS is there to lift me back up onto my feet and say "Just a few more days, just a few more!" 

Someone pasted data records at this point =
! TaNi PBE-GGA relaxed; values from VASP
&SYSTEM
  ibrav = 0, nat = 26, ntyp = 2
/
ATOMIC_SPECIES
Ta 180.95 Ta.upf
Ni 58.69 Ni.upf
ATOMIC_POSITIONS angstrom
Ta 22.081 0.000 1.757
Ta 11.977 0.000 0.953
Ta 35.683 0.000 2.839
Ta 41.083 0.000 3.268
Ta 17.377 0.000 1.382
Ta 9.162 0.000 0.729
Ta 26.530 0.000 2.110
Ta 38.480 0.000 3.061
Ta 48.666 0.000 3.871
Ta 4.394 0.000 0.350
Ta 43.898 0.000 3.492
Ta 30.979 0.000 2.464
Ta 14.580 0.000 1.160
Ni 24.514 -1.244 1.230
Ni 19.758 -1.221 0.864
Ni 24.514 1.244 1.230
Ni 33.469 0.000 1.248
Ni 19.591 0.000 2.973
Ni 19.758 1.221 0.864
Ni 28.717 0.000 0.844
Ni 28.546 1.244 2.991
Ni 0.000 0.000 0.000
Ni 33.302 -1.221 3.356
Ni 24.343 0.000 3.377
Ni 33.302 1.221 3.356
Ni 28.546 -1.244 2.991
CELL_PARAMETERS angstrom
17.799 -2.445 0.000
17.799 2.445 0.000
17.463 0.000 4.221
! * SG: No. 166
! * E_form: -258 meV/atom
! * total DFT energy (no corrections): -9.08 eV/atom
! * size of the total moment: 0.04 μB/f.u.
! * calculated density: 14.1 g/cm3


! Na2YCuBr6 PBE-GGA relaxed; values from VASP
&SYSTEM
  ibrav = 0, nat = 10, ntyp = 4
/
ATOMIC_SPECIES
Br 79.90 Br.upf
Na 22.99 Na.upf
Y 88.91 Y.upf
Cu 63.55 Cu.upf
ATOMIC_POSITIONS angstrom
Br 5.427 5.427 8.076
Br 2.779 5.427 5.427
Br 8.076 5.427 5.427
Br 5.427 8.076 5.427
Br 5.427 2.779 5.427
Br 5.427 5.427 2.779
Na 2.714 2.714 2.714
Na 8.141 8.141 8.141
Y 0.000 0.000 0.000
Cu 5.427 5.427 5.427
CELL_PARAMETERS angstrom
0.000 5.427 5.427
5.427 0.000 5.427
5.427 5.427 0.000
! * SG: No. 225
! * E_form: -1589 meV/atom
! * total DFT energy (no corrections): -3.57 eV/atom
! * size of the total moment: 0.00 μB/f.u.
! * calculated density: 3.5 g/cm3


! Ba4PrHoCu6O14 PBE-GGA relaxed; values from VASP
&SYSTEM
  ibrav = 0, nat = 26, ntyp = 5
/
ATOMIC_SPECIES
O 16.00 O.upf
Cu 63.55 Cu.upf
Ba 137.33 Ba.upf
Ho 164.93 Ho.upf
Pr 140.91 Pr.upf
ATOMIC_POSITIONS angstrom
O -2.631 -5.227 -2.258
O -2.624 -3.046 -0.617
O -1.875 -0.116 -1.609
O -12.714 -14.758 -2.991
O -7.639 -6.808 -2.965
O -9.460 -8.921 -3.394
O -15.224 -15.613 -4.750
O 0.208 -1.932 -1.590
O -10.286 -14.112 -4.059
O -10.280 -11.933 -2.419
O -5.542 -8.605 -2.943
O -5.058 -5.871 -1.190
O -7.376 -10.734 -3.375
O -13.125 -17.408 -4.728
Cu -14.160 -16.437 -3.332
Cu -8.797 -10.211 -2.070
Cu -6.541 -7.592 -1.539
Cu -11.500 -13.349 -2.706
Cu -3.837 -4.454 -0.903
Cu -1.177 -1.367 -0.277
Ba -4.893 -5.793 -3.958
Ba -12.549 -14.681 -5.760
Ba -2.129 -2.585 -3.308
Ba -9.785 -11.472 -5.109
Ho -7.339 -8.633 -4.534
Pr 0.330 0.269 -2.729
CELL_PARAMETERS angstrom
-1.761 2.075 -2.750
2.421 -1.536 -2.709
-15.338 -17.804 -3.609
! * SG: No. 47
! * E_form: -2166 meV/atom
! * total DFT energy (no corrections): -6.06 eV/atom
! * size of the total moment: 0.00 μB/f.u.
! * calculated density: 6.7 g/cm3

=====

<a>
NiH18C4S6N8O4 | GGA+U | relaxed

Unit cell a=9.0879 b=10.5689 c=19.3121 alpha=90.00 beta=90.00 gamma=90.00
Fractional positions:
Ni: 0.1872 0.1744 0.1534
Ni: 0.3128 0.8256 0.6534
Ni: 0.6872 0.3256 0.8466
Ni: 0.8128 0.6744 0.3466

Of course having an amazing, understanding husband also is totally helpful. I feel like such a baby these days. If I am this exhausted now, what will it be like with a screaming baby!? Again God is my strength and He is super strong ya'll. 

Sunday, July 15, 2012

Count Down

We seriously have 5 more weeks give or take a few before our Little Man arrives. I cannot believe it. God has blessed us enormously and he has provided greatly for us and we cannot wait for another chapter in our lives. Please continue to pray for Aaron's job status and for a move before the baby arrives. . . 

Misplaced records of crystals:
Entry 1:
# TbAsO4 | Materials Project | GGA-PBE | optimized geometry
data_TbAsO4
_chemical_formula_sum 'Tb4 As4 O16'
_space_group_name_H-M_alt 'I 41/a m d'
_space_group_IT_number 141
_cell_length_a 7.1840
_cell_length_b 7.1840
_cell_length_c 6.3801
_cell_angle_alpha 90.00
_cell_angle_beta 90.00
_cell_angle_gamma 90.00
loop_
_space_group_symop_operation_xyz
'x,y,z'
'-x,-y,-z'
'-y+1/4,x+3/4,z+1/4'
'y+1/4,-x+3/4,-z+1/4'
'-x+1/2,-y,z+1/2'
'x+1/2,y,-z+1/2'
'y+1/4,-x+1/4,z+3/4'
'-y+1/4,x+1/4,-z+3/4'
'x,-y,-z'
'-x,y,z'
'-y+1/4,-x+1/4,-z+3/4'
'y+1/4,x+1/4,z+3/4'
'-x+1/2,y,-z+1/2'
'x+1/2,-y,z+1/2'
'y+1/4,x+3/4,-z+1/4'
'-y+1/4,-x+3/4,z+1/4'
'x+1/2,y+1/2,z+1/2'
'-x+1/2,-y+1/2,-z+1/2'
'-y+3/4,x+1/4,z+3/4'
'y+3/4,-x+1/4,-z+3/4'
'-x,-y+1/2,z'
'x,y+1/2,-z'
'y+3/4,-x+3/4,z+1/4'
'-y+3/4,x+3/4,-z+1/4'
'x+1/2,-y+1/2,-z+1/2'
'-x+1/2,y+1/2,z+1/2'
'-y+3/4,-x+3/4,-z+1/4'
'y+3/4,x+3/4,z+1/4'
'-x,y+1/2,-z'
'x,-y+1/2,z'
'y+3/4,x+1/4,-z+3/4'
'-y+3/4,-x+1/4,z+3/4'
loop_
_atom_site_label
_atom_site_type_symbol
_atom_site_fract_x
_atom_site_fract_y
_atom_site_fract_z
Tb1 Tb 0.0000 0.2500 0.3750
As1 As 0.0000 0.2500 0.8750
O1 O 0.0000 0.0690 0.6986
# **Total energy**: -173.67 eV/cell
# **Crystal system**: tetragonal

---

Entry 2:
# NaHoO2 | Materials Project | GGA-PBE | optimized geometry
data_NaHoO2
_chemical_formula_sum 'Na4 Ho4 O8'
_space_group_name_H-M_alt 'I 41/a m d'
_space_group_IT_number 141
_cell_length_a 4.6096
_cell_length_b 4.6096
_cell_length_c 10.3269
_cell_angle_alpha 90.00
_cell_angle_beta 90.00
_cell_angle_gamma 90.00
loop_
_space_group_symop_operation_xyz
'x,y,z'
'-x,-y,-z'
'-y+1/4,x+3/4,z+1/4'
'y+1/4,-x+3/4,-z+1/4'
'-x+1/2,-y,z+1/2'
'x+1/2,y,-z+1/2'
'y+1/4,-x+1/4,z+3/4'
'-y+1/4,x+1/4,-z+3/4'
'x,-y,-z'
'-x,y,z'
'-y+1/4,-x+1/4,-z+3/4'
'y+1/4,x+1/4,z+3/4'
'-x+1/2,y,-z+1/2'
'x+1/2,-y,z+1/2'
'y+1/4,x+3/4,-z+1/4'
'-y+1/4,-x+3/4,z+1/4'
'x+1/2,y+1/2,z+1/2'
'-x+1/2,-y+1/2,-z+1/2'
'-y+3/4,x+1/4,z+3/4'
'y+3/4,-x+1/4,-z+3/4'
'-x,-y+1/2,z'
'x,y+1/2,-z'
'y+3/4,-x+3/4,z+1/4'
'-y+3/4,x+3/4,-z+1/4'
'x+1/2,-y+1/2,-z+1/2'
'-x+1/2,y+1/2,z+1/2'
'-y+3/4,-x+3/4,-z+1/4'
'y+3/4,x+3/4,z+1/4'
'-x,y+1/2,-z'
'x,-y+1/2,z'
'y+3/4,x+1/4,-z+3/4'
'-y+3/4,-x+1/4,z+3/4'
loop_
_atom_site_label
_atom_site_type_symbol
_atom_site_fract_x
_atom_site_fract_y
_atom_site_fract_z
Na1 Na 0.0000 0.2500 0.3750
Ho1 Ho 0.0000 0.2500 0.8750
O1 O 0.0000 0.2500 0.0965
# **Total energy**: -108.35 eV/cell
# **Crystal system**: tetragonal

---

Entry 3:
# Cd2GaAgSe4 | Materials Project | GGA-PBE | optimized geometry
data_Cd2GaAgSe4
_chemical_formula_sum 'Cd4 Ga2 Ag2 Se8'
_space_group_name_H-M_alt 'C 1 m 1'
_space_group_IT_number 8
_space_group_name_Hall 'C -2y'
_cell_length_a 15.7232
_cell_length_b 4.2479
_cell_length_c 7.5098
_cell_angle_alpha 90.00
_cell_angle_beta 116.71
_cell_angle_gamma 90.00
loop_
_atom_site_label
_atom_site_type_symbol
_atom_site_fract_x
_atom_site_fract_y
_atom_site_fract_z
Cd1 Cd 0.0000 0.0000 0.0000
Cd2 Cd 0.0040 0.5000 0.5216
Ga1 Ga 0.2494 0.0000 0.9431
Ag1 Ag 0.2482 0.5000 0.4229

Such a hard thing to do at times but such an IMPORTANT thing to do at all times! 

Monday, July 9, 2012


Thank you Terri for the cake and the set up. That was very nice. 

And we are back!

Well we are back in Tucson. We had a nice weekend with family in New Mexico. The next time everyone will see us we will have a little baby boy. Of course I think I grew this weekend. The road trip was ok and getting home to our babies was great. 
Someone missed his baby girl :) 

Thursday, July 5, 2012


So we read that putting cold up top and hot below will help baby flip..... We will see :)

We need a Vacation!

I am ready for a vacation. Ummmm from life? Is that possible? From school, from being pregnant, from being exhausted all the time..... Oh yea, that doesn't really end huh? 
When I say "Oh I cant wait to get back to normal" people reply with "NORMAL, THATS GONE!".
Well at least this weekend we will get some time away from Tucson. God must have a plan for us here because we know we sure dislike this place. 

We hope you all had a great 4th of July. 

Monday, July 2, 2012


I cant believe it is already July. Where did time go? We have approximately 7 weeks to go. Give or take a few I guess. We will got back to the doctor on Tuesday for another check up. Boy does emotions run high in the last trimester. There are no real updates on the baby at this point. He is still moving and kicking all day long. Aaron and I started our Childbirth Education classes two weeks ago and I think they will come in handy when the time comes. The magic number is 37 weeks. If my water breaks before 37 weeks I will have to have him in the hospital and we all know I do not like that idea... So our hope is that he waits until full term to arrive. I have heard that first time moms go almost all the way to the end if not a little after so that is a relief. 
I think we will start gathering more baby stuff soon and getting his diapers and clothes all washed up. I am also going to make a list of "To Do" things for people who are planning on coming for any long length of time. Of course Aaron will be great in the helping process but I am sure we both will need the extra help later on. So think twice before coming out hahaha. JK 
We will be going to New Mexico this weekend for a little break from Tucson. A much needed break from Tucson. I hope you all have a great start to the month!